The search for God and meaning in the world is probably one of the most commonly shared experiences we have as humans. There is often an emptiness and a hunger to find out about the possibility of something bigger than us. And for many, it can consume a great deal of our lives both in the quest for meaning and in what we do once we have started to find some answers. One of the really important, even crucial, lessons I’ve found lately though is that you never find THE answers. You can never know, for certain, whether there is a God or not and what form He takes; and that is the whole and entire point of faith. And having faith, rather than dogma, means that inevitably there will be a lifelong exploration of issues and opinions will and should change with experience and insight.
I would like, in this post, to very briefly highlight where my spiritual journey has been taking me lately. I have gone through a Roman Catholic upbringing to a period of adolescent questioning and uncertainty to a too-certain Evangelical Christianity. But a group that has interested me for many years that I am now learning about more seriously is the Religious Society of Friends, commonly known as Quakers.
I’m writing this post because a few things over the past few weeks made me realise that many people don’t know much about Quakers beyond fairly superficial facts, and I think if more people knew something about them, they might discover some of their own personal answers there, an answer to a need which I am encountering more and more.
Today’s world is troubled in so many ways. Social injustice, economic inequality, an inherent and ever more apparent selfishness in society; war, famine, poverty; the destruction of the earth’s natural resources. Quakers are led through peace into action on these and so many other things.
You may think that Quakers just sit in silence, praying or meditating. If my recent learning is anything to go by, they are listening to the Light. The Light is how you might describe God – that something Other. And Quakers believe that there is Light in everyone, and they try to look for it and to act on it. For over 350 years this has led them to deep and meaningful actions, such as resisting conflict, speaking truth to power, leading lives based on truth and equality which if adopted by society as a whole would effectively solve almost all of the world’s problems. I don’t think I’m overstating that – I really think that if everybody lived their lives based on these principles (which, believe me I know, is easier said than done) then we could put an end tomorrow to poverty and injustice and with justice comes peace.
There is a book which Quakers use in regular life called Advices and Queries. A small, thin red book which contains 41 questions or suggestions and gives a useful introduction to Quakerism in practice. It’s not a sacred text such as the Bible or Qu’ran; it is help for the Quaker going about their daily life. I’m going to give a couple of these now.
33. Are you alert to practices here and throughout the world which discriminate against people on the basis of who or what they are or because of their beliefs? Bear witness to the humanity of all people, including those who break society’s conventions or its laws. Try to discern new growing points in social and economic life. Seek to understand the causes of injustice, social unrest and fear. Are you working to bring about a just and compassionate society which allows everyone to develop their capacities and fosters the desire to serve?
This I think is important as much for what it leaves unsaid. People who are discriminated against for who or what they are – poor, old, disabled, of different origin, gay, women… And bearing witness to the humanity of all people – what other way is there to eradicate inequality or injustice?
The following two extracts speak to me very deeply and I find them very inspirational:
27 Live adventurously. When choices arise, do you take the way that offers the fullest opportunity for the use of your gifts in the service of God and the community? Let your life speak.
17. Do you respect that of God in everyone though it may be expressed in unfamiliar ways or be difficult to discern? Each of us has a particular experience of God and each must find the way to be true to it. When words are strange or disturbing to you try to sense where they have come from and what has nourished the lives of others. Listen patiently and seek the truth which other people’s opinions may contain for you. Avoid hurtful criticism and provocative language. Do not allow the strength of your convictions to betray you into making statements or allegations that are unfair or untrue. Think it possible that you may be mistaken (emphasis mine).
What a brilliant and clear call for tolerance and humility, which we could all do well to practice more – myself at the top of the list.
I would urge anyone who has questions about the Big Stuff to let yourself ask them – don’t be put off by past negative experiences. But I’d highly recommend asking them to Quakers sooner rather than later, and through practising peace be led into action.
**Misplaced calculated molecules**
/*
Density functional theory data (the ωB97M-V functional and the def2-TZVPD basis) for a molecular structure, C6H16F2FeN3O7P2Se.

Highest occupied orbital energy (spin up / spin down) (eV): -7.96 / -7.94
LUMO energy (spin up / spin down) (hartree): -0.013 / -0.005
Total energy (eV): -149036.7792
Relative energy (zero: lowest compared OMol25 entry of this formula, charge and spin) (eV): 0.051
Spin multiplicity: 2

Structure (XYZ):
```
38
Properties=species:S:1:pos:R:3:forces:R:3
Fe 0.586 -0.400 -1.132 0.128 0.288 0.267
N 2.301 -0.986 -0.190 -0.049 0.023 -0.026
C 2.294 -1.966 0.926 -0.015 0.019 -0.023
C 1.654 -1.403 2.185 0.028 0.049 0.049
N 0.189 -1.419 2.231 -0.166 0.145 -0.033
H 2.929 -1.343 -0.902 -0.031 -0.019 -0.028
H 2.695 -0.107 0.142 0.031 -0.008 -0.010
H 3.327 -2.237 1.153 -0.007 -0.025 0.001
H 1.775 -2.863 0.584 -0.007 0.005 -0.009
H 2.008 -0.375 2.317 -0.028 -0.003 0.011
H 2.028 -1.963 3.042 0.012 -0.011 -0.012
H -0.244 -1.490 1.311 -0.017 0.020 -0.005
H -0.149 -2.211 2.762 -0.004 0.023 0.026
C -3.152 2.270 0.842 -0.001 0.000 0.010
C -1.922 1.922 0.027 0.030 0.008 -0.013
O -1.616 2.998 -0.873 0.006 0.000 0.011
P -0.414 1.756 1.054 -0.055 0.011 0.032
O -0.687 1.125 2.444 0.017 0.030 -0.013
O -0.033 3.245 1.412 -0.014 0.004 -0.024
O 0.663 1.057 0.265 0.152 -0.070 -0.168
P -2.009 0.328 -0.865 -0.027 -0.080 -0.046
O -3.474 0.269 -1.477 0.001 0.014 0.069
O -0.965 0.486 -1.967 -0.019 -0.233 -0.014
O -1.704 -0.776 0.093 0.048 -0.044 0.049
H -2.981 3.170 1.433 0.001 0.002 -0.006
H -3.402 1.453 1.518 0.002 0.004 0.003
H -3.987 2.444 0.165 -0.002 -0.005 0.000
H -1.165 2.610 -1.641 -0.007 -0.004 -0.005
H -0.449 0.135 2.500 0.114 -0.184 -0.069
H -0.208 3.821 0.649 0.006 0.007 0.005
H -3.857 -0.616 -1.421 -0.007 -0.004 -0.028
Se 1.100 -4.659 -3.130 0.012 0.002 -0.003
C 0.707 -3.152 -2.314 -0.032 -0.053 0.103
N 0.453 -2.166 -1.732 -0.075 0.037 -0.340
F 1.068 0.255 -3.744 0.002 0.024 -0.029
C 1.759 0.095 -2.603 -0.051 0.028 0.301
F 2.309 1.307 -2.270 0.031 0.011 -0.014
H 2.572 -0.612 -2.795 -0.008 -0.009 -0.017
```
Positions in Å, forces in eV/Å.


Density functional theory data (the ωB97M-V functional and the def2-TZVPD basis) for a molecular structure, C6H16F2FeN3O7P2Se.

Highest occupied orbital energy (spin up / spin down) (eV): -8.00 / -7.98
LUMO energy (spin up / spin down) (hartree): 0.008 / -0.039
Total energy (eV): -149037.0905
Relative energy (zero: lowest compared OMol25 entry of this formula, charge and spin) (eV): 0.000
Spin multiplicity: 6

Structure (XYZ):
```
38
Properties=species:S:1:pos:R:3:forces:R:3
Fe -0.180 -0.895 0.489 0.492 -0.140 0.138
N 0.102 -0.743 2.696 -0.062 -0.070 -0.012
C 1.463 -0.294 3.028 -0.016 0.022 0.027
C 2.440 -1.047 2.147 -0.015 -0.033 0.010
N 2.072 -0.793 0.751 -0.012 0.093 -0.048
H -0.603 -0.106 3.053 0.000 0.010 -0.015
H -0.083 -1.665 3.079 0.000 0.007 0.025
H 1.705 -0.442 4.082 -0.010 0.003 0.009
H 1.514 0.774 2.811 0.000 -0.003 0.007
H 2.345 -2.121 2.322 0.016 0.003 -0.006
*/
**So much for the calculated molecules**
For more information on Quakers in Britain, see here. I’d also recommend reading Harvey Gillman’s book A Light That Is Shining which I read as my first introduction to Quakerism; and there is a new book by Geoffrey Durham called Being A Quaker which I want to read soon. You can also read Quaker Faith and Practice (a book of discipline which includes Advices and Queries) online here.
I am not a Quaker but I am finding out about them, so any Quakers reading this who can put me right on anything, feel free!
You know where my religious beliefs – or lack of them – lie, but this is good, sensible advice and I agree that if we all lived thus, life would be fairer and happier. I hope you find your answers.
I know this is a distillation of everything you are thinking through at the moment, and how important it is to you. This is a great overview of that for people.
Love ya 😀
I found this piece really interesting, eye opening and thought provoking. I didn’t know any of this about Quakers. I have to agree with you that these sentiments and values are very appealing. It’s the simplicity of the ideas that I like. I find myself drawn to Buddhism for a similar reason. I think our 21st century lives are over-complicated. We need to pare them down and keep only the things that matter. I hope that you continue to be inspired by these ideas.
Thank you Abi!
Yes simplicity is a big part of Quakerism and to be honest it’s one of the parts I’ll struggle with most, as I’m quite a hoarder and attached to THINGS, as much as I know that I need to focus on what matters.
Thanks again for a lovely comment.